Believing Change Can Happen
Jackalyn Rainosek, Ph.D.
Multidimensional Leader Driving Extraordinary Results through Comprehensive Expertise
96TH In a Series
By Jackalyn Rainosek, PHD
I think the very worst position each of us can get into about all the stressors we have experienced is to give up and think that nothing is going to change. We can build a case that every item on the list of Mind-boggling Stressors in my article #95 or the video simply cannot change. I encourage you to read or hear #95 (Read the article : Mindboggling stress or Listen to the video: Watch Dr. Rainosek explain this) before reading the rest of this article. I know if you and I refuse to see the small, incremental steps that people are taking to show change is happening then we are going to miss the opportunity to see moments we can feel appreciative of. Besides these small steps do make a difference.
'''
This record from Materials Project describes a relaxed BaCeEuHfO6 crystal. The functional is PBE.

Formation energy from the elements in eV/atom: -3.846
ΔE to the lowest computed polymorph in meV/atom: 0.0
Corrected total energy (MP2020 scheme) in eV per atom: -9.62

Cell lengths 8.5841, 8.5977, 8.6131 Å; angles 90.00, 90.00, 90.00 degrees
Space group Pnnn (No. 48, origin choice 2)
One atom of each set of equivalent atoms:
Ba (0.2500, 0.2500, 0.2500) (multiplicity 2)
Ba (0.2500, 0.7500, 0.7500) (multiplicity 2)
Ce (0.0000, 0.0000, 0.0000) (multiplicity 4)
Eu (0.2500, 0.2500, 0.7500) (multiplicity 2)
Eu (0.2500, 0.7500, 0.2500) (multiplicity 2)
Hf (0.0000, 0.0000, 0.5000) (multiplicity 4)
O (0.0301, 0.2373, 0.4634) (multiplicity 8)
O (0.0503, 0.0400, 0.7365) (multiplicity 8)
O (0.2367, 0.5480, 0.0432) (multiplicity 8)



This record from Materials Project describes a relaxed BaCeEuHfO6 crystal. The functional is PBE.

Formation energy from the elements in eV/atom: -3.605
ΔE to the lowest computed polymorph in meV/atom: 241.5
Corrected total energy (MP2020 scheme) in eV per atom: -9.38

Cell lengths 8.6358, 8.6358, 8.6358 Å; angles 90.00, 90.00, 90.00 degrees
Space group F-43m (No. 216)
One atom of each set of equivalent atoms:
Ba (0.0000, 0.0000, 0.0000) (multiplicity 4)
Ce (0.2500, 0.2500, 0.2500) (multiplicity 4)
Eu (0.0000, 0.0000, 0.5000) (multiplicity 4)
Hf (0.2500, 0.2500, 0.7500) (multiplicity 4)
O (0.0084, 0.2500, 0.7500) (multiplicity 24)



This record from Materials Project describes a relaxed BaCe2EuO6 crystal. The functional is PBE.

Formation energy from the elements in eV/atom: -3.534
ΔE to the lowest computed polymorph in meV/atom: 64.7
Corrected total energy (MP2020 scheme) in eV per atom: -8.91

Cell lengths 8.7452, 8.7683, 4.4900 Å; angles 90.00, 90.00, 90.00 degrees
Space group Cmmm (No. 65)
One atom of each set of equivalent atoms:
Ba (0.0000, 0.0000, 0.0000) (multiplicity 2)
Ce (0.2500, 0.2500, 0.5000) (multiplicity 4)
Eu (0.0000, 0.5000, 0.0000) (multiplicity 2)
O (0.0000, 0.1856, 0.5000) (multiplicity 4)
O (0.1771, 0.5000, 0.5000) (multiplicity 4)
O (0.2500, 0.2500, 0.0000) (multiplicity 4)



This record from Materials Project describes a relaxed BaCe2EuO6 crystal. The functional is PBE.

Formation energy from the elements in eV/atom: -3.468
ΔE to the lowest computed polymorph in meV/atom: 130.1
Corrected total energy (MP2020 scheme) in eV per atom: -8.84

Cell lengths 4.4489, 4.4489, 8.8882 Å; angles 90.00, 90.00, 90.00 degrees
Space group P4/mmm (No. 123)
One atom of each set of equivalent atoms:
Ba (0.0000, 0.0000, 0.0000) (multiplicity 1)
Ce (0.5000, 0.5000, 0.2524) (multiplicity 2)
Eu (0.0000, 0.0000, 0.5000) (multiplicity 1)
O (0.0000, 0.5000, 0.2547) (multiplicity 4)
O (0.5000, 0.5000, 0.0000) (multiplicity 1)
O (0.5000, 0.5000, 0.5000) (multiplicity 1)



This record from Materials Project describes a relaxed BaCe2EuO6 crystal. The functional is PBE.

Formation energy from the elements in eV/atom: -3.598
'''
American history which has been divisive
I have started reading more carefully, since I need to identify the small steps that people are taking. I encourage you to stop reading just the headlines, since they can be deceptive, limiting, and prevent us seeing actions that are being taken. Besides if you look at American history, we have always had differences of opinion, and some periods of our history were more disturbing than others. “Our deep divisions date from the original sin of chattel slavery. White supremacists, conspiracy theorists and right-wing militias have stalked American history, from the Ku Klux Klan to the John Birch Society to the Oklahoma City bombing...Most Americans opposed intervening in World War II after the Nazis swept across Europe, most Americans disapproved of the civil rights movement as it was happening, and the space race was controversial because of its high price tag” (Time Magazine, “A House Divided,” February1/February 8, 2021, p.32, left column, paragraph 5.) The reality is that as citizens we moved through these events, learned more, saw how some of these differences could threaten our democratic process, and then we changed our minds and supported the actions that supported the democracy of our country.
There is something I know about the psychology of human beings. The impulse to choose sides starts at an exceedingly early age. As human beings we look for safety and that means joining a group that supports our beliefs, attitudes, and behaviors. Whether we like it or not joining these groups is often fed by fear of the unknown or we want to protect our beliefs. We feel concern what we believed is not true and we were wrong all along. Sadly, some people want to think their idea is better than anyone else’s and we have the us vs. them thinking. These traits can get so ingrained that people are impossible to reach, since they cannot hear something different that might cause them to question their beliefs and attitudes or some of the people that are part of their chosen group. Admitting they are wrong is the worst thing that could happen, so they keep shouting, arguing, or demeaning anyone that does not believe the way they do. Fear takes over and they stay locked in self defeating behaviors and thought patterns.
Where do I see a future based on peoples’ actions?
I ask each reader to start seeing where people from different parties are taking action to support our democracy and move us forward. I know it takes guts, courage, and commitment to a higher order of conduct that has led people from both parties to say there are certain things that go beyond reason and sanity, and no matter our previous behavior there comes a time where these behaviors must stop. President Biden has “addressed the reality gap head-on. ‘Recent weeks and months have taught us a painful lesson: there is truth and there are lies, he said, lies told for power and for profit. He called on fellow leaders to defend the truth and defeat the lies.’” (Time Magazine, “A House Divided,” February1/February 8, 2021, p. 32, left column, paragraph 3).
On the same page 32, in the Time Magazine article in the right column, paragraph 1, “many Trump supporters, of course, did stand up for the rule of law in the bitter aftermath of the election: the Republican lawmakers who certified the results in their states, the local officials who refused to bend to Trump’s pressures; the conservative judges who threw out baseless lawsuits; the GOP members of Congress who risked their political futures to vote for his impeachment, and the many who received death threats in response.” Please take time to read their stories.
There are some people we will never be able to talk with since they are unable to hear another point of view. I do know a member of the Ku Klux Klan and Neo Nazi that have left these organizations. I have met and heard them speak about the organizations that they have formed to help people move out of these groups and other groups that are far right-wing and racist. These individuals can speak to the members of these groups, since they have been where the members are, and know what it is like to have left these groups.
My message for each of us is to read very carefully and read many resources for our news. We have to process through our feelings of anger, disappointment, and fear so that we can talk with people that may have a difference of opinion from ourselves. We have to invest in patience and willingness to do what we can to hear the other person. When we meet people, who are different from us; yet are willing to talk then we need to set some guidelines that we will both adhere to that will allow us to talk with each other and learn from each other. What are some of the guidelines? We agree that we will be honest with each other; yet, as we talk, we will communicate with respect. Allow ourselves to ask questions of each other and not argue points. Make an effort to hear the other person. Practice valuable communications skills such as listening and when the person speaking has finished show respect by repeating, rephrasing, or stating what we have heard them say to see if we have understood them. When we are speaking think about how we say things; yet, in our communication see how we can leave openings to have further conversations with the individual. Realize this kind of conversation takes time for people to want to stay in the discussion to build meaningful relationships. Practicing respect, humility, and gratitude that they are willing to talk with us, and know that some things may not change, since each of us have different points of view. Ultimately, find out who the person is and what things can we see that we might have in common. Search out how we can be of value to each other. Ask these questions of ourselves: Who are we, what are our values, how do we behave, and what are our attitudes that form the core of our being?
The articles that follow are going to address the various items I put in article #95 or any that you send through the survey, by email or comments in LinkedIn or Facebook. I will do my best to talk about ways we can face issues and determine more ways to address Covid-19 and the pandemic. I will present ways that I hope will lessen the stress in your life, deal with the difficult topics of racism and the other ISMs and understand how to work with and process through emotions.
I have a group that meets twice a month on Tuesday nights that is helping people to learn more about our American history, and then see how current day events are impacted by our history. This group is $40 a month for the two sessions for an hour and a half each. I invite you to go to our website,, and look at the possibility of joining this group. If I have enough requests, I will provide a three-hour program in March that provides a 25-page notebook, and many ways to lessen the stress that will cost $45.00 for the three hours. We will need 22 people or more to offer this program. Please email me ([email protected]) and let me know what would be most helpful to you.
#multiple resources
#process feelings
Financial Advisor/Author | Contrarian Economic Perspective
4 年I appreciate Dr. Wayne Dyer's words of wisdom, "You'll see it when you believe it."
Multidimensional Leader Driving Extraordinary Results through Comprehensive Expertise
4 年I feel tired of focusing on negative aspects and particularly since a person is now out of office. This article is the first one to address ways to deal with the divide in our country. It has some excellent comments from Time Magazine to how changes that are happening. There are questions for you and recommendations on how to deal with the stress. Chance can happen.